As we write this article, Russia’s war against Ukraine is going into the fourth week with all its ferocity and there is no end to hostilities in sight. Daily, we see heartbreaking pictures of horrific human sufferings, the killing of civilians caught in the fighting, the deterioration of basic living conditions and the enormous destruction caused to human habitat and infrastructure. The Ukrainians pay with their blood for this war. But this war has all the makings of becoming a far more dangerous conflict among Russia, the United States and increasingly also China, the three most powerful nuclear powers. In this case, this war could threaten all humankind. Not only for Ukrainians but for us all we need peace now.
The Ukraine war may turn into a battle among nuclear powers for global supremacy
Geographically, the vast plains of Ukraine have always been of prime strategic interest: whomever controls Ukraine, controls the central part between the European and Asian continents. Because of its strategic value, this war carries the risk of turning into a battleground of nuclear powers over who will maintain the upper hand in their competition for regional and global dominance. The United States may see in Ukraine an opportunity to defeat and humiliate Russia, a relatively weak but irritating competition, while creating there a military bridgehead to control access into Asia and keep Europe under its wings. After the loss of Afghanistan, this may have become a top priority.
China would only reluctantly join in this competition of who controls Ukraine. As a defender of national sovereignty, Russia’s high-risk military intervention into Ukraine is surely not to its liking. But China could not afford to have Russia lose. It would almost certainly be next on America’s list in its fight to regain global dominance. With the recent military build-up of US forces in the South China Sea and the sale of nuclear submarines to Australia, China must fear to be militarily confronted by the US now also from Ukraine. Its two vital trade routes, one through the South China Sea and the other via the so-called Silk Road would both be at risk of being blocked. China may therefore end up siding with Russia, simply out of self-preservation. The recent telephone exchange between US President Biden and China’s President Xi, in which Biden has warned China of harsh consequences if it supported Russia, only underlines the high stakes involved in this conflict.
For Russia, this war has become almost a war of survival that it cannot lose without losing it all. It is even conceivable that, if losing, Russia, a country with its huge landmass and a small declining population, could slide into chaos. It is the political and economic weakness of Russia combined with its nuclear strength that would make any US plans to crush Russia so enormously dangerous, even potentially self-destructive.
The deepening of the Ukraine war comes at the worst time possible; almost all arms-control and confidence-building treaties that were developed towards the end of the Cold War with Russia have either been cancelled or were not extended – mostly by the US who felt that it holds such a decisive military edge over others that it no longer needed such treaties. Between the US and China no such treaties were ever even contemplated. After years of tensions and hostilities, any goodwill or confidence among the three nuclear powers must have been completely eroded.
At the same time, the development of modern weapon systems of mass destruction has made frightening advances. Together, the US, Russia and China have almost 12,000 nuclear warheads, about 90% of all nuclear weapons in the world. According to experts, the detonation of only about 100 such nuclear warheads could be enough to create a nuclear winter that would destroy all life on earth. In recent years, these weapons have undergone substantial ‘modernizations,’ which can only mean that they have increased their destructive power. More alarming, this may have created among some US strategists the illusion that a nuclear war might be winnable. There are now hypersonic missile delivery systems that are over five times faster than sound. For the first time, weapons systems are deployed in space, and cybertechnologies and artificial intelligence are driving much of the arms race. All together, they have made military attack systems so complex and so fast that it is now inconceivable that any courageous human, as it happened during the Cold War, could stop a nuclear war once it has, willingly or mistakenly, been set into motion. Already any information that is misinterpreted by an artificial intelligence system could send us all to hell. There are no longer red telephones to allow Presidents to avoid a nuclear war, in any case, they would be too slow. If a nuclear war is triggered out of desperation or out of superiority, it would later not matter.
Could the Ukraine war with all the emotions, bellicose language and hatred it has created, trigger the spark that sets off a chain of events towards a nuclear Armageddon? This danger is there, and this danger will increase with every day this war continues. Russia could feel so cornered by the massive influx of Western weapons that it launches in retaliation a missile strike across the border into a NATO country. It has already attacked a military base close to the Polish border as well as the airport of Lviv, apparently in response to Western arms shipments and the alleged training of irregular and foreign fighters by US instructors. With the war dragging on, pressures will mount on Western leaders to get ever more involved in the fighting. The Polish President went already so far as to call for a NATO intervention. Sadly, he is not alone in the West in wanting to deploy NATO forces. Should this happen, it would be the third time that a World War is set off in Europe – only this time it would most likely be the last time.
If any reasoning prevails, all sides should aim at ending the war in Ukraine as soon as possible. And if political leaders have any sense left, they should aim not only at a temporary fix but at an all-encompassing peace settlement.
It is not too late to end this war before it gets completely out of hand. At the Special Session of the UN Security Council on 17th March, the UN stated that war had so far cost the lives of 726 civilians including 52 infants. These are 726 deaths too many. Even if this is probably an incomplete count of civilian deaths, it would be a relatively low number for a war between the regular armies of two of Europe’s largest countries, one being trained and equipped by the US and UK and the other being the largest standing army in Europe with a nuclear arsenal behind it. In the US alone, on average twice as many people are killed by gun violence every month. And during the military operation to expel ISIS from the city of Mosul in 2017, over 10,000 civilians, according to some reports even over 20,000 civilians, were killed, mostly by airstrikes carried out by a US-led coalition.
However, the intensification of fighting over control of major cities, including Kiev, the arming of militias and citizen defense units, and, according to some reports, the recruitment of foreign mercenaries, could quickly turn this war more savage with the numbers of civilians caught in the middle rapidly rising. According to some reports, total arms shipments from the West by far exceed the military budget of Ukraine. The successive introduction of these Western arms onto the battlefield will not only increase the human costs for Russia; it will also make this war more deadly for Ukrainians. Realizing that time is running out for them, Russian forces may increasingly use its air force, artillery, and rocket launchers indiscriminately. The war could reach a level of butchery and embitterment that it would make it difficult to stop.
The time for a seeking a peace settlement may have come
If global powers would be able to pull back from their own strategic interests and instead focus more on the interests of Ukrainians, serious peace talks may be possible. Indeed, the war seems to have reached a stage where a peace settlement might be the preferable solution for all combatant parties.
For Russia, this war has not gone well at all. It was unable to achieve a quick and decisive victory, and even more importantly, with the only exception being the areas held by pro-Russian separatist, the Russian army was nowhere welcomed as liberators. It is now clear that Russia has miscalculated, and its army proved far weaker than previously assumed. Serious attempts to conquer Kiev or any other major city could end in a shocking laughter of civilians. It would also come at a huge human cost for the attacking Russian army. The return of thousands of killed Russian soldiers in coffins could quickly erode any support this invasion might still have in Russia. Even if Russia may hope it can still take large unpopulated areas and dig in, it must now look for a way out.
For Ukraine, despite all reports of heroism, this war is a human, social and economic disaster at a level Europe has not seen since the Yugoslav wars. Although Ukrainians may have scored a moral victory, it is unlikely that this will also lead to a military victory. Now that Russia had started the invasion, there is too much at stake for it to give up without having achieved something. Large powers rarely give up. NATO needed almost 12 weeks to bomb Serbia into submission, and this despite that fact that Serbia is a much smaller country and NATO was militarily far more superior. Russia may abandon the storming of Kiev or other large cities and instead focus on occupying ever larger chunks of Eastern Ukraine as a bargaining chip. It may even be able to encircle Ukrainian forces in Eastern Ukraine and cut Ukraine links to the Black Sea completely. To avoid this, Ukraine must look for a negotiated way out.
Also, for the West this war has not gone well. Many Western countries, especially those in Europe, suffer under the sanctions against Russia. But more importantly, not only Russia but the West too, is losing international support. The recent General Assembly resolution that condemned Russia’s invasion with a large majority may suggest otherwise. However, most small and middle-sized countries may have supported this resolution because they see in it a last chance to uphold the UN Charter and its principle of banning all military actions for political reasons. For most countries the Charter is their defense against being invaded. Before Russia did so in Ukraine, the US, the UK and France — three other permanent members of the Security Council — ignored the UN Charter and conducted illegal wars. And there were the 35 countries that abstained. They include not only China but also India, Pakistan, Bangladesh, Sri Lanka and virtually all Central Asian countries. Together, they represent almost half the world’s population. We know further that the ten ASEAN countries and Indonesia only reluctantly supported the GA resolution. The mistrust over US ambitions to regain a position of single global power runs deep. In fact, in many countries the US is seen as the main culprit in this war.
Furthermore, only Western countries and their usual Asian allies such as Japan, Australia and Singapore have adopted harsh sanctions against Russia. Virtually no Asian, Middle Eastern, African or Latin American country seems willing to support them, irrespective of whether they supported the GA resolution or not. Not even the NATO member Turkey or the West’s close ally Israel have adopted sanctions. The feuding parties of the West and Russia together represent only about 10% of the world population and their share is rapidly declining. It seems that the other 90% of the world population wants no part in this war. For most of them, this is a war among the white men, reminiscent to the conflicts during the Cold War. In the Financial Times, David Adler deliberated on whether the Ukraine conflict has led to the reemergence of a non-aligned movement. This time, however, these non-aligned countries are gaining rapidly in economic and technological weight. They can no longer be treated with an air of superiority and arrogance and their calls for peace can no longer be easily ignored.
Is Zelensky the man who could bring peace?
Between two parts of the entry: crystal structures =
~~~
(1)
The following is a DFT calculation (PBE) of a relaxed La4SmDy3 crystal.

Cell and atoms, written as extended XYZ:
```
16
Lattice="5.168 0.000 0.000 0.000 10.330 0.000 0.000 0.000 10.338" Properties=species:S:1:pos:R:3 pbc="T T T"
Sm 2.917 6.376 5.169
Sm 0.333 3.954 0.000
La 0.333 1.323 7.752
La 0.333 8.994 0.000
La 0.333 1.323 2.585
La 2.917 9.007 2.583
La 2.917 9.007 7.754
La 2.917 1.335 5.169
La 0.333 9.010 5.169
La 2.917 1.320 0.000
Dy 0.333 3.944 5.169
Dy 0.333 6.376 7.753
Dy 2.917 6.386 0.000
Dy 2.917 3.953 2.585
Dy 0.333 6.376 2.584
Dy 2.917 3.953 7.753
```

Calculated values
total magnetization	0.000	μB per atom
distance to the lowest polymorph of the same formula	0	meV/atom
energy	-76.06	eV for the cell shown
N(E_F)	1.737	states/eV/atom
energy relative to the elements	0.0255	eV per atom



(2)
The following is a DFT calculation (PBE) of a relaxed La8Sm2Dy crystal.

Cell and atoms, written as extended XYZ:
```
11
Lattice="5.042 0.000 -1.434 -0.468 8.084 -1.645 0.047 -0.533 9.745" Properties=species:S:1:pos:R:3 pbc="T T T"
La 1.845 3.989 6.488
La 4.005 6.218 4.500
La 1.596 0.372 5.613
La 3.025 7.179 1.054
La 2.776 3.562 0.178
La 0.616 1.332 2.166
La -0.102 5.832 -0.359
La 4.723 1.718 7.025
Dy 2.521 0.000 -0.717
Sm 3.755 2.656 3.622
Sm 0.866 4.894 3.044
```

Calculated values
total magnetization	0.000	μB per atom
distance to the lowest polymorph of the same formula	0	meV/atom
energy	-53.28	eV for the cell shown
N(E_F)	1.796	states/eV/atom
energy relative to the elements	0.0166	eV per atom



(3)
The following is a DFT calculation (PBE) of a relaxed La2Sm15Dy2 crystal.

Cell and atoms, written as extended XYZ:
```
19
Lattice="-0.528 5.008 -7.325 -8.209 3.335 0.702 1.636 8.108 3.255" Properties=species:S:1:pos:R:3 pbc="T T T"
Sm -1.936 10.012 0.234
Sm -1.335 6.668 2.485
Sm -4.161 7.880 1.314
Sm 0.983 7.173 0.063
Sm 0.818 4.054 1.628
Sm -2.941 8.571 -4.682
Sm -0.264 2.504 -3.662
Sm -2.846 4.503 -4.903
Sm -6.510 7.794 -0.952
Sm -5.166 6.439 -3.602
Sm -5.239 4.775 1.473
Sm -4.105 1.668 0.351
Sm 0.125 5.943 -4.132
Sm -5.892 3.840 -1.720
Sm -0.592 8.657 -2.416
La -0.639 1.481 -0.303
La -6.463 14.970 -3.064
Dy -4.849 11.232 -2.299
Dy -2.253 5.219 -1.068
```

Calculated values
total magnetization	0.000	μB per atom
energy	-84.60	eV for the cell shown
N(E_F)	1.581	states/eV/atom
energy relative to the elements	0.2760	eV per atom



(4)
The following is a DFT calculation (PBE) of a relaxed La3SmDy5 crystal.

Cell and atoms, written as extended XYZ:
```
18
Lattice="7.138 0.000 0.000 0.000 9.914 0.000 0.000 -4.957 8.586" Properties=species:S:1:pos:R:3 pbc="T T T"
La 5.353 6.716 5.539
La 5.353 1.759 3.046
La 1.784 3.517 0.000
La 5.353 6.396 0.000
La 1.784 -1.759 3.046
La 1.784 3.198 5.539
Dy 1.784 6.521 5.877
Dy 0.000 0.000 5.724
Dy 1.784 6.786 0.000
Dy 3.569 0.000 5.724
Dy 5.353 3.393 5.877
Dy 3.569 4.957 2.862
Dy 5.353 -1.564 2.709
Dy 0.000 4.957 2.862
Dy 1.784 1.564 2.709
Dy 5.353 3.128 0.000
Sm 3.569 0.000 0.000
Sm 0.000 0.000 0.000
```
~~~
Presently there is no Western politician, of Putin we do not even have to speak, who has made any proposal for how to end this war. The West is caught in a war frenzy and unable to look beyond this. In his old age, President Biden has turned into a war leader who now even threatens China while the UK Prime Minister Johnson has no qualms about stepping over the fresh blood of 81 recently executed men in Saudi Arabia to cozy up to Saudi strongman Crown Prince bin Salman in what he calls a mission to defend democracy against autocratic rulers.
The most disappointing of all is, however, the European Union. Although Ukraine is in Europe and what will happen there will impact all of Europe, ideas of how to end this war and what peace could look like simply do not exist. Instead, the EU’s von der Leyen and Borrell focus on funding weapons for one billion euros and Poland’s Kaczynski even wants to take NATO into battle, while Germany’s Scholz buys F-35 fighter planes to be able to nuke Russia. Hungarian Orbán walks on a tightrope over Russia in an upcoming election, Draghi is only interested in how to make others pay for Italy’s debts while the President of little Lithuania, Nausėda, already fights China over Taiwan. Only Macron appears to have kept his head on his shoulders, but he is preoccupied with his re-election.
Volodymyr Zelensky, the Ukrainian comedian turned President, seems to be the only person who could make peace with Russia and end the war. He has shown surprising stamina and leadership during this war and is now the towering figure in an otherwise destructive environment. He has kept peace negotiations going even when there is no ceasefire, he looked to the Israeli Prime Minister and Turkish President (and not to the EU) to help negotiate a peace deal. Also, his proposal to meet Putin directly while the West bans him and his suggestion that this may be in Jerusalem – again not in a European country – would indicate a quite independent political mind that places Ukrainian interests first. After all, Zelensky was elected with a majority of over 73% throughout the country and his support in Russian-speaking areas was even greater than in the rest of Ukraine. According to recent surveys his approval rating jumped up to 90%.
On this background, media reports seem plausible that on 14th March the Ukrainian and Russian delegations had begun discussing a 15-point plan that reportedly contains guarantees on Ukraine’s neutral status, including a pledge that it would not seek NATO membership or host foreign military bases or weaponry within its territory, in exchange for security guarantees from Ukraine’s allies, including Turkey, the UK and the US. Following this meeting, Russian Minister of Foreign Affairs Sergey Lavrov said that there are “specific wordings that are close to being agreed”. This would be a major and unexpected break-through – albeit a break-through that appears to run to the contrary of stated Western policies on Ukraine.
Still, the West should support Zelensky in these peace efforts. Maybe here at least, Europe could take the courage and switch from its language of war to a language of peace. Zelensky will need this support because he will have to face many hardliners, both inside and outside the country, who will try to derail a peace settlement that foresees a neutral Ukraine. However, if successful, such a peace settlement would not only save Ukraine from being destroyed and dismantled but also Europe, if not the world, from being caught in a looming conflict among nuclear powers. Peace has its price, and this is a price worth paying.
It would be one of the most heartening ironies in European history that a small-town boy with Jewish roots would bring peace to Ukraine, a country where the horrific mass extermination of six million Jews had once begun when, in 1941 under German occupation, 33,000 Jews were killed at Babin Jar near Kiev.